32 years ago, Chinese American Vincent Chin was celebrating his bachelor party in Detroit on June 19, 1982. That’s when he got into a fight and was fatally beaten by Ronald Ebens and Michael Nitz with a baseball bat. The two men — both White — hurled racial slurs like “jap” and “chink” at Chin, blaming him for the loss of Detroit auto industry jobs to overseas Japanese manufacturers.
Vincent Chin died in hospital on June 23rd, 1982, four days before he was scheduled to marry his fiancee.
Ronald Ebens and Michael Nitz received a bare slap on the wrist for the crime. The cost for the murder of an Asian American man: 3 years of probation and $3000 in court fees.
Vincent Chin’s case was a watershed moment for the Asian American community. Chin’s death terrified because it was proof that racism swept all of us with the same brush, and that we could no longer hide behind the walls of ethnic factionalism. The Vincent Chin tragedy was about all of us.

Chin’s murder became one of the first inciting incidents that would politically unite our community across generational, geographic and ethnic divide to rally against this profound miscarriage of justice. A few years back, I wrote about how I grew up in a world without Vincent Chin, and how his case profoundly impacted the Asian American politics of today.
Yet, there are still those who have forgotten about Vincent Chin. Earlier this year, a columnist for the Detroit News published an op-ed that defended Nitz and Ebens, and blamed Chin for his own death by racial hate crime. Although the Asian American community generated a powerful series of writing refuting the Detroit writer’s revisionist history of the Chin case (including this piece by Frank Wu), the fact that a writer would write such a fallacious article thinking it would not impact an entire community of Asian Americans is proof that we cannot let Vincent Chin’s death be forgotten.
We must remind the world that Vincent Chin was us, and we are him.
So, I’m asking all of you to help me remember Vincent Chin this upcoming weekend — June 20-23rd — which commemorates the four days that Chin spent fighting for his life in hospital 32 years ago after being the victim of a racist hate crime. Here’s what you can do:
- Post a selfie tagged #IAmVincentChin to Twitter. Writings and photos will be curated at the #IAmVincentChin Tumblr, so submit your stuff there too!
- Post tweets throughout the weekend remembering the Vincent Chin tragedy, and how it has impacted you.
- Tag all your thoughts with #IAmVincentChin. Trend it.
- Share this post and the #IAmVincentChin Tumblr with your friends, widely and often.
Materials data that have nothing to do with the text:
'''
{"formula": "Te2OsAu", "functional": "GGA-PBE", "state": "optimized geometry", "energy_ev_per_cell": -20.08, "m_tot_mub_per_fu": 0.00, "raw_formation_energy_mev_per_atom": 177, "polymorph_energy_ev_per_fu": 0.000, "lattice": [[1.990, 1.149, 7.961], [-1.990, 1.149, 7.961], [0.000, -2.297, 7.961]], "species": ["Te", "Te", "Os", "Au"], "fractional_positions": [[0.110, 0.110, 0.110], [0.890, 0.890, 0.890], [0.500, 0.500, 0.500], [0.000, 0.000, 0.000]]}

---

{"formula": "HfAl2Pt9", "functional": "GGA-PBE", "state": "optimized geometry", "energy_ev_per_cell": -82.01, "m_tot_mub_per_fu": 0.00, "lattice": [[3.967, 0.000, 0.000], [0.000, 3.967, 0.000], [0.000, 0.000, 11.826]], "species": ["Hf", "Al", "Al", "Pt", "Pt", "Pt", "Pt", "Pt", "Pt", "Pt", "Pt", "Pt"], "fractional_positions": [[0.000, 0.000, 0.000], [0.000, 0.000, 0.339], [0.000, 0.000, 0.661], [0.000, 0.500, 0.171], [0.000, 0.500, 0.500], [0.000, 0.500, 0.829], [0.500, 0.000, 0.171], [0.500, 0.000, 0.500], [0.500, 0.000, 0.829], [0.500, 0.500, 0.000], [0.500, 0.500, 0.336], [0.500, 0.500, 0.664]]}

---

{"formula": "Sn3Te2S2", "functional": "GGA-PBE", "state": "optimized geometry", "energy_ev_per_cell": -28.58, "m_tot_mub_per_fu": 0.00, "raw_formation_energy_mev_per_atom": -290, "lattice": [[7.695, -2.058, 0.000], [7.695, 2.058, 0.000], [-2.238, 0.000, 6.668]], "species": ["Sn", "Sn", "Sn", "Te", "Te", "S", "S"], "fractional_positions": [[0.000, 0.000, 0.000], [0.254, 0.254, 0.239], [0.746, 0.746, 0.761], [0.393, 0.393, 0.691], [0.607, 0.607, 0.309], [0.150, 0.150, 0.856], [0.850, 0.850, 0.144]]}

---

{"formula": "PmPr3Sc", "functional": "GGA-PBE", "state": "optimized geometry", "energy_ev_per_cell": -99.78, "m_tot_mub_per_fu": 0.00, "polymorph_energy_ev_per_fu": 0.000, "lattice": [[10.140, -4.985, 0.000], [10.140, 4.985, 0.000], [-0.479, 0.000, 6.693]], "species": ["Pm", "Pm", "Pm", "Pm", "Pr", "Pr", "Pr", "Pr", "Pr", "Pr", "Pr", "Pr", "Pr", "Pr", "Pr", "Pr", "Sc", "Sc", "Sc", "Sc"], "fractional_positions": [[0.097, 0.903, 0.750], [0.249, 0.751, 0.250], [0.751, 0.249, 0.750], [0.903, 0.097, 0.250], [0.045, 0.259, 0.579], [0.084, 0.587, 0.930], [0.259, 0.045, 0.079], [0.362, 0.486, 0.609], [0.413, 0.916, 0.570], [0.486, 0.362, 0.109], [0.514, 0.638, 0.891], [0.587, 0.084, 0.430], [0.638, 0.514, 0.391], [0.741, 0.955, 0.921], [0.916, 0.413, 0.070], [0.955, 0.741, 0.421], [0.224, 0.344, 0.316], [0.344, 0.224, 0.816], [0.656, 0.776, 0.184], [0.776, 0.656, 0.684]]}

---

{"formula": "NpTlGe2", "functional": "GGA-PBE", "state": "optimized geometry", "energy_ev_per_cell": -23.48, "m_tot_mub_per_fu": 4.26, "polymorph_energy_ev_per_fu": 1.136, "lattice": [[2.553, 1.474, 4.060], [-2.553, 1.474, 4.060], [0.000, -2.948, 4.060]], "species": ["Np", "Tl", "Ge", "Ge"], "fractional_positions": [[0.000, 0.000, 0.000], [0.500, 0.500, 0.500], [0.251, 0.251, 0.251], [0.749, 0.749, 0.749]]}

---
'''
Here the text continues:
Let’s see if we can create a Twitter Storm of love and remembrance for Vincent Chin this weekend.
Because #IAmVincentChin, and you are too.